# Given
1.
Calculated powder diffractogram of K3Th for Cu Kα, from the GGA-PBE geometry in the Materials Project.

Structure:
```
K3Th
1.0
6.0182 0.0000 0.0000
0.0000 6.0182 0.0000
0.0000 0.0000 6.0182
K Th
3 1
Direct
0.0000 0.0000 0.5000 K
0.0000 0.5000 0.0000 K
0.5000 0.0000 0.0000 K
0.5000 0.5000 0.5000 Th
```

Largest 10 diffraction maxima, in order of rising 2θ, 10 to 80 degrees two-theta:
Position (°2θ)  I/Imax
14.72  698
20.87  642
25.64  1000
29.69  514
33.29  418
36.57  329
42.49  378
45.20  235
50.28  457
57.28  194

2.
Calculated powder diffractogram of CaCu2Bi2O8 for Cu Kα, from the GGA-PBE geometry in the Materials Project.

Structure:
```
CaCu2Bi2O8
1.0
6.7045 0.0000 0.0000
0.0000 9.1080 0.0000
-0.2021 0.0000 13.5232
Ca Cu Bi O
4 8 8 32
Direct
0.1198 0.1593 0.4597 Ca
0.1198 0.3407 0.9597 Ca
0.8802 0.6593 0.0403 Ca
0.8802 0.8407 0.5403 Ca
0.2529 0.6915 0.8815 Cu
0.2529 0.8085 0.3815 Cu
0.3755 0.0505 0.8831 Cu
0.3755 0.4495 0.3831 Cu
0.6245 0.5505 0.6169 Cu
0.6245 0.9495 0.1169 Cu
0.7471 0.1915 0.6185 Cu
0.7471 0.3085 0.1185 Cu
0.1003 0.0505 0.1646 Bi
0.1003 0.4495 0.6646 Bi
0.3879 0.5946 0.1433 Bi
0.3879 0.9054 0.6433 Bi
0.6121 0.0946 0.3567 Bi
0.6121 0.4054 0.8567 Bi
0.8997 0.5505 0.3354 Bi
0.8997 0.9495 0.8354 Bi
0.0185 0.2422 0.6130 O
0.0185 0.2578 0.1130 O
0.1039 0.1006 0.8938 O
0.1039 0.3994 0.3938 O
0.1358 0.0206 0.3128 O
0.1358 0.4794 0.8128 O
0.2089 0.5811 0.0091 O
0.2089 0.9189 0.5091 O
0.3070 0.6253 0.3154 O
0.3070 0.8747 0.8154 O
0.3549 0.5138 0.5888 O
0.3549 0.9862 0.0888 O
0.4172 0.2478 0.9151 O
0.4172 0.2522 0.4151 O
0.4917 0.1233 0.6380 O
0.4917 0.3767 0.1380 O
0.5083 0.6233 0.8620 O
0.5083 0.8767 0.3620 O
0.5828 0.7478 0.5849 O
0.5828 0.7522 0.0849 O
0.6451 0.0138 0.9112 O
0.6451 0.4862 0.4112 O
0.6930 0.1253 0.1846 O

# To do
Now copy the lines further up up to the one that holds "0.6451 0.0138", that line included.

# Result
1.
Calculated powder diffractogram of K3Th for Cu Kα, from the GGA-PBE geometry in the Materials Project.

Structure:
```
K3Th
1.0
6.0182 0.0000 0.0000
0.0000 6.0182 0.0000
0.0000 0.0000 6.0182
K Th
3 1
Direct
0.0000 0.0000 0.5000 K
0.0000 0.5000 0.0000 K
0.5000 0.0000 0.0000 K
0.5000 0.5000 0.5000 Th
```

Largest 10 diffraction maxima, in order of rising 2θ, 10 to 80 degrees two-theta:
Position (°2θ)  I/Imax
14.72  698
20.87  642
25.64  1000
29.69  514
33.29  418
36.57  329
42.49  378
45.20  235
50.28  457
57.28  194

2.
Calculated powder diffractogram of CaCu2Bi2O8 for Cu Kα, from the GGA-PBE geometry in the Materials Project.

Structure:
```
CaCu2Bi2O8
1.0
6.7045 0.0000 0.0000
0.0000 9.1080 0.0000
-0.2021 0.0000 13.5232
Ca Cu Bi O
4 8 8 32
Direct
0.1198 0.1593 0.4597 Ca
0.1198 0.3407 0.9597 Ca
0.8802 0.6593 0.0403 Ca
0.8802 0.8407 0.5403 Ca
0.2529 0.6915 0.8815 Cu
0.2529 0.8085 0.3815 Cu
0.3755 0.0505 0.8831 Cu
0.3755 0.4495 0.3831 Cu
0.6245 0.5505 0.6169 Cu
0.6245 0.9495 0.1169 Cu
0.7471 0.1915 0.6185 Cu
0.7471 0.3085 0.1185 Cu
0.1003 0.0505 0.1646 Bi
0.1003 0.4495 0.6646 Bi
0.3879 0.5946 0.1433 Bi
0.3879 0.9054 0.6433 Bi
0.6121 0.0946 0.3567 Bi
0.6121 0.4054 0.8567 Bi
0.8997 0.5505 0.3354 Bi
0.8997 0.9495 0.8354 Bi
0.0185 0.2422 0.6130 O
0.0185 0.2578 0.1130 O
0.1039 0.1006 0.8938 O
0.1039 0.3994 0.3938 O
0.1358 0.0206 0.3128 O
0.1358 0.4794 0.8128 O
0.2089 0.5811 0.0091 O
0.2089 0.9189 0.5091 O
0.3070 0.6253 0.3154 O
0.3070 0.8747 0.8154 O
0.3549 0.5138 0.5888 O
0.3549 0.9862 0.0888 O
0.4172 0.2478 0.9151 O
0.4172 0.2522 0.4151 O
0.4917 0.1233 0.6380 O
0.4917 0.3767 0.1380 O
0.5083 0.6233 0.8620 O
0.5083 0.8767 0.3620 O
0.5828 0.7478 0.5849 O
0.5828 0.7522 0.0849 O
0.6451 0.0138 0.9112 O